Assignment >
Give back only the lines further below with the word "What" in them, please.
Given >
/*
An optimized crystal structure of NiRhPb. Source: the Alexandria database, functional GGA-PBE.

a b c (Å): 4.3074 4.3074 3.1056
angles (deg): 90.00 90.00 120.00
With the nearest neighbours (Å) after each atom.
Fractional positions:
Ni: 0.0000 0.0000 0.0229  3 Pb 2.62, 3 Rh 2.69-2.70
Rh: 0.3333 0.6667 0.6886  3 Ni 2.69-2.70, 3 Pb 2.78
Pb: 0.6667 0.3333 0.2885  3 Ni 2.62, 3 Rh 2.78

The electronic total energy is -16.19 eV for the cell shown. For the size of the total moment, the calculation gives 0.000 μB/atom. As for the energy of formation: 0.22 eV/atom.

***

An optimized crystal structure of CdAg2Rh. Source: the Alexandria database, functional GGA-PBE.

a b c (Å): 3.9021 3.9021 10.3410
angles (deg): 79.12 79.12 90.00
With the nearest neighbours (Å) after each atom.
Fractional positions:
Ag: 0.1296 0.6250 0.2500  4 Ag 2.73-2.78, 2 Rh 2.84, 2 Cd 2.85
Rh: 0.2500 0.7500 0.5000  4 Cd 2.76, 4 Ag 2.84
Rh: 0.5000 0.5000 0.0000  4 Cd 2.76, 4 Ag 2.84
Cd: 0.7500 0.2500 0.5000  4 Rh 2.76, 4 Ag 2.85
Cd: 0.0000 0.0000 0.0000  4 Rh 2.76, 4 Ag 2.85
Ag: 0.6204 0.1250 0.2500  4 Ag 2.73-2.78, 2 Rh 2.84, 2 Cd 2.85
Ag: 0.3750 0.3796 0.7500  4 Ag 2.73-2.78, 2 Rh 2.84, 2 Cd 2.85
Ag: 0.8750 0.8704 0.7500  4 Ag 2.73-2.78, 2 Rh 2.84, 2 Cd 2.85

The electronic total energy is -25.72 eV for the cell shown. For the size of the total moment, the calculation gives 0.000 μB/atom. As for the energy of formation: 0.28 eV/atom.

***

> What is the energy of formation in the second record?

0.28 eV/atom

***

> Look up the electronic total energy of the second one.

-25.72 eV for the cell shown


A plane-wave DFT calculation with GGA-PBE was carried out for an optimized crystal structure of HfZnCdTe2.

- formation energy (no corrections) (eV per atom) = 0.559

Cell and atoms, written as CIF:
```
data_HfZnCdTe2
_chemical_formula_sum 'Hf1 Zn1 Cd1 Te2'
_space_group_name_H-M_alt 'P 1'
_space_group_IT_number 1
_cell_length_a 5.321
_cell_length_b 5.321
_cell_length_c 4.844
_cell_angle_alpha 90.00
_cell_angle_beta 90.00
_cell_angle_gamma 90.00
loop_
_space_group_symop_operation_xyz
'x,y,z'
loop_
_atom_site_label
_atom_site_fract_x
_atom_site_fract_y
_atom_site_fract_z
Hf1 0.000 0.000 0.000
Zn1 0.500 0.500 0.500
Cd1 0.500 0.500 0.000
Te1 0.000 0.500 0.500
Te2 0.500 0.000 0.500
```

A plane-wave DFT calculation with GGA-PBE was carried out for an optimized crystal structure of KRh4Se8.

- formation energy (no corrections) (eV per atom) = -0.456

Cell and atoms, written as CIF:
```
data_KRh4Se8
_chemical_formula_sum 'K1 Rh4 Se8'
_space_group_name_H-M_alt 'P 1'
_space_group_IT_number 1
_cell_length_a 9.066
_cell_length_b 9.066
_cell_length_c 9.066
_cell_angle_alpha 47.34
_cell_angle_beta 47.34
_cell_angle_gamma 47.34
loop_
_space_group_symop_operation_xyz
'x,y,z'
loop_
_atom_site_label
_atom_site_fract_x
_atom_site_fract_y
_atom_site_fract_z
K1 0.000 0.000 0.000
Rh1 0.000 0.000 0.500
Rh2 0.000 0.500 0.000
Rh3 0.500 0.000 0.000
Rh4 0.500 0.500 0.500
Se1 0.223 0.223 0.223
Se2 0.224 0.723 0.723
Se3 0.277 0.277 0.776
Se4 0.277 0.776 0.277
Se5 0.723 0.224 0.723
Se6 0.723 0.723 0.224
Se7 0.776 0.277 0.277
Se8 0.777 0.777 0.777
```

A plane-wave DFT calculation with GGA-PBE was carried out for an optimized crystal structure of Li3In4Hg2.

- E_form (eV per atom) = -0.19

Cell and atoms, written as CIF:
```
data_Li3In4Hg2
_chemical_formula_sum 'Li6 In8 Hg4'
_space_group_name_H-M_alt 'P 1'
_space_group_IT_number 1
_cell_length_a 8.918
_cell_length_b 8.918
_cell_length_c 5.228
_cell_angle_alpha 98.80
_cell_angle_beta 98.80
_cell_angle_gamma 77.97
loop_
_space_group_symop_operation_xyz
'x,y,z'
loop_
_atom_site_label
_atom_site_fract_x
_atom_site_fract_y
_atom_site_fract_z
Li1 0.111 0.889 0.750
Li2 0.197 0.464 0.921
Li3 0.464 0.197 0.421
Li4 0.536 0.803 0.579
Li5 0.803 0.536 0.079
Li6 0.889 0.111 0.250
In1 0.103 0.338 0.367
In2 0.317 0.569 0.474
In3 0.338 0.103 0.867
In4 0.431 0.683 0.026
In5 0.569 0.317 0.974
In6 0.662 0.897 0.133
In7 0.683 0.431 0.526
In8 0.897 0.662 0.633
*/
Solution >
> What is the energy of formation in the second record?